• Data:
........
# 1
Density functional theory data (PBE-GGA) for crystalline Na7Hf2Mg2SiP5O24 at its relaxed geometry.

Geometry as CIF:
```
data_Na7Hf2Mg2SiP5O24
_symmetry_space_group_name_H-M 'P 1'
_symmetry_Int_Tables_number 1
_symmetry_space_group_name_Hall 'P 1'
_cell_length_a 9.055
_cell_length_b 9.060
_cell_length_c 22.227
_cell_angle_alpha 89.90
_cell_angle_beta 90.00
_cell_angle_gamma 60.04
loop_
_atom_site_label
_atom_site_fract_x
_atom_site_fract_y
_atom_site_fract_z
Na1 0.000 0.000 0.000
Na2 0.003 0.334 0.504
Na3 0.268 0.335 0.003
Na4 0.270 0.715 0.505
Na5 0.281 0.025 0.422
Na6 0.284 0.388 0.669
Na7 0.287 0.658 0.172
Na8 0.300 0.023 0.922
Na9 0.331 0.672 0.836
Na10 0.335 0.324 0.341
Na11 0.602 0.672 0.335
Na12 0.606 0.000 0.501
Na13 0.617 0.720 0.008
Na14 0.629 0.346 0.757
Na15 0.644 0.337 0.257
Na16 0.665 0.998 0.168
Na17 0.934 0.393 0.169
Na18 0.938 0.004 0.671
Na19 0.946 0.326 0.840
Na20 0.947 0.679 0.591
Na21 0.954 0.681 0.089
Hf1 0.292 0.014 0.268
Hf2 0.302 0.016 0.768
Hf3 0.624 0.356 0.602
Hf4 0.630 0.353 0.100
Hf5 0.955 0.685 0.933
Hf6 0.963 0.685 0.434
Mg1 0.295 0.017 0.066
Mg2 0.298 0.017 0.566
Mg3 0.632 0.342 0.399
Mg4 0.632 0.343 0.898
Mg5 0.954 0.684 0.732
Mg6 0.958 0.685 0.233
Si1 0.330 0.349 0.496
Si2 0.592 0.720 0.164
Si3 0.929 0.348 0.996
P1 0.000 0.015 0.162
P2 0.257 0.683 0.330
P3 0.258 0.390 0.830
P4 0.294 0.722 0.664
P5 0.295 0.312 0.165
P6 0.333 0.645 0.996
P7 0.594 0.014 0.662
P8 0.626 0.645 0.495
P9 0.627 0.058 0.998
P10 0.665 0.982 0.329
P11 0.666 0.681 0.831
P12 0.920 0.058 0.500
P13 0.959 0.388 0.331
P14 0.961 0.980 0.828
P15 0.999 0.313 0.665
O1 0.089 0.048 0.217
O2 0.092 0.196 0.721
O3 0.100 0.995 0.105
O4 0.104 0.022 0.507
O5 0.104 0.227 0.608
O6 0.120 0.185 0.003
O7 0.129 0.211 0.330
O8 0.131 0.992 0.828
O9 0.138 0.480 0.886
O10 0.138 0.697 0.669
O11 0.139 0.527 0.495
O12 0.144 0.494 0.172
O13 0.150 0.663 0.993
O14 0.150 0.700 0.388
O15 0.169 0.667 0.275
O16 0.172 0.495 0.773
O17 0.266 0.212 0.827
O18 0.267 0.232 0.109
O19 0.273 0.849 0.330
O20 0.277 0.826 0.608
O21 0.301 0.186 0.504
O22 0.311 0.823 0.003
O23 0.312 0.814 0.722
O24 0.317 0.199 0.221
O25 0.417 0.529 0.053
O26 0.424 0.380 0.556
O27 0.433 0.371 0.838
O28 0.437 0.528 0.335
O29 0.438 0.558 0.940
O30 0.444 0.324 0.438
O31 0.459 0.540 0.663
O32 0.464 0.318 0.162
O33 0.468 0.815 0.223
O34 0.469 0.821 0.504
O35 0.473 0.039 0.716
O36 0.476 0.027 0.003
O37 0.483 0.845 0.827
O38 0.483 0.995 0.329
O39 0.503 0.832 0.105
O40 0.513 0.000 0.604
O41 0.599 0.176 0.946
O42 0.602 0.530 0.163
O43 0.603 0.185 0.662
O44 0.605 0.565 0.438
O45 0.636 0.163 0.334
O46 0.638 0.528 0.836
O47 0.655 0.136 0.058
O48 0.661 0.522 0.550
O49 0.745 0.705 0.891
O50 0.753 0.870 0.386
O51 0.763 0.892 0.273
O52 0.775 0.865 0.670
O53 0.782 0.658 0.779
O54 0.784 0.691 0.170
O55 0.789 0.665 0.493
O56 0.797 0.881 0.993
O57 0.801 0.370 0.338
O58 0.804 0.379 0.056
O59 0.809 0.161 0.833
O60 0.811 0.139 0.558
O61 0.818 0.178 0.161
O62 0.823 0.321 0.663
O63 0.836 0.176 0.447
O64 0.840 0.322 0.937
O65 0.925 0.883 0.493
O66 0.941 0.526 0.995
O67 0.942 0.492 0.275
O68 0.953 0.889 0.772
O69 0.980 0.858 0.172
O70 0.982 0.489 0.672
O71 0.983 0.481 0.387
O72 0.985 0.868 0.886
```



# 2
Density functional theory data (PBE-GGA) for crystalline PrMgAu2 at its relaxed geometry.

Geometry as CIF:
```
data_PrMgAu2
_symmetry_space_group_name_H-M 'F m -3 m'
_symmetry_Int_Tables_number 225
_symmetry_space_group_name_Hall '-F 4 2 3'
_cell_length_a 7.153
_cell_length_b 7.153
_cell_length_c 7.153
_cell_angle_alpha 90.00
_cell_angle_beta 90.00
_cell_angle_gamma 90.00
loop_
_atom_site_label
_atom_site_fract_x
_atom_site_fract_y
_atom_site_fract_z
Pr1 0.000 0.000 0.000
Mg1 0.000 0.000 0.500
Au1 0.250 0.250 0.250
```



| no. | energy relative to the elements (kJ per mole of atoms) |
| --- | --- |
| 1 | -285.27 |
| 2 | -69.55 |

* * * * *

LiTi4VO8 | PBE+U | relaxed

* ΔH_f (0 K): -2.897 eV per atom
* E (MP2020): -8.77 eV/atom
* crystal system: triclinic
* E above lowest polymorph: 0.0000 eV per atom
........

• Activity:
Transcribe only the lines further up with the word "Na19" in them.

• Response:
Na19 0.946 0.326 0.840